Features of coasters for hot from corks

Ordinary wine and champagne corks are given a second life in the hands of craftsmen. That only one of them is not made. Coasters for hot dishes are very popular. We will consider their features in more detail, and also tell you how to make such an item with your own hands.

Advantages and disadvantages
A hot stand made of corks can become a stylish addition to any interior, it all depends on how it is made. Several of these plate coasters may well become a table decoration. Let's consider what are the advantages of these products, and whether cork coasters have disadvantages.

As for the pluses, the following can be noted:
the stand can be made independently and rather quickly, and absolutely everyone will cope with such a task, even if they have never done anything with their own hands;
material for the manufacture of coasters for dishes in the form of corks is available to everyone, and even if you don't want to save up for a long time, you can buy plugs separately;
coasters based on such material are environmentally friendly, no extraneous odors, dyes and other things that can cause unpleasant moments;
such stands are reliable protection for any surface, you can put hot dishes directly from the fire and be sure that neither the plastic nor the wooden surface will suffer;
similar accessories look very stylish and can decorate any interior, regardless of the chosen style;
such items can serve for quite a long timemoreover, they are light in weight and safe to use (for example, you cannot break such a stand, get hurt or accidentally burn yourself).

It is difficult to find significant drawbacks to the cork stand, this is not an item to make decisions for a long time before buying. The disadvantages include the fact that the cork crumbles easily, which means that the product must be purchased on a solid substrate. In addition, the cork is susceptible to moisture, so keep such coasters away from water.
How to do it yourself?
The most important thing that is required to make a stand is a large number of wine or champagne corks. You may also need the following items:
sharp knife;
glue or glue gun;
a board of wood, cardboard or a piece of cloth that will serve as the base;
optional rope, ribbon and other decorative elements.

It is difficult to say exactly how many wine corks will be needed. It all depends on whether it will be one stand or a whole set. And the size plays a significant role: for large dishes it is one size, for small mugs it is completely different.

Let's take a look at the step-by-step instructions for making a stand.
First, let's prepare the plugs. They must be clean and dry and of the same size. If the specimens are all different, they can be trimmed with a knife.
Next, you need to take the base on which the plugs will be placed. - wooden board or plywood.
Then it is worth spreading all the specimens on the surface, to make sure that the selected amount is enough for the intended craft.
With a glue gun carefully glue the corks onto the base, trying to do everything right away at once.
Then, if desired, the corks can be varnished., glue a rope around the edge or decorate with other elements.

The base can be cut in any shape - round, square, oval, heart-shaped, any animal. In addition, corks can be glued in different ways: they can be placed horizontally, vertically, creating patterns. You may not use the base at all, but glue the corks together, a rope or tape tied around it can become the finishing touch.
If there are not enough plugs, you can cut them into two parts and glue them with the flat side to the base, and even into circles. The corks can be either the same (from one type of wine or champagne), or different.

There are a lot of options. You can use whatever your fantasy tells you. The stand is very simple, but if you have any difficulties, you can watch the master class.
Examples in the interior
Let's consider how different the coasters can be, and how they can revive any interior.
A large stand made of halves of different corks will decorate any table.

- The round stand looks very original, you just need to come up with a good frame for it, as in this case.

- A few mini coasters look quite appropriate too. Both glasses of wine and hot mugs can be placed on them.

- Coasters, assembled from cork circles, under a teapot and mugs, will make your tea drinking especially pleasant.

- Such an interesting option will take a little more time, but it is quite doable. Both whole corks (for the background) and circles (for the heart) are used. The rope effectively emphasizes the center of the composition.

- - -
--- w ---
DFT (PBE) results for KScRe after structural relaxation. Values from VASP.

The structure in Quantum ESPRESSO input format:
```
&SYSTEM
  ibrav = 0, nat = 3, ntyp = 3
/
ATOMIC_SPECIES
K 39.10 K.upf
Sc 44.96 Sc.upf
Re 186.21 Re.upf
CELL_PARAMETERS angstrom
0.000 3.438 3.438
3.438 0.000 3.438
3.438 3.438 0.000
ATOMIC_POSITIONS angstrom
K 0.000 0.000 0.000
Sc 3.438 3.438 3.438
Re 5.158 5.158 5.158
```

The crystal system is cubic.


--- x ---
DFT (PBE) results for KScRe after structural relaxation. Values from VASP.

The structure in Quantum ESPRESSO input format:
```
&SYSTEM
  ibrav = 0, nat = 3, ntyp = 3
/
ATOMIC_SPECIES
K 39.10 K.upf
Sc 44.96 Sc.upf
Re 186.21 Re.upf
CELL_PARAMETERS angstrom
0.000 3.422 3.422
3.422 0.000 3.422
3.422 3.422 0.000
ATOMIC_POSITIONS angstrom
K 0.000 0.000 0.000
Sc 5.133 5.133 5.133
Re 1.711 1.711 1.711
```

The crystal system is cubic.


--- y ---
DFT (PBE) results for KScRe after structural relaxation. Values from VASP.

The structure in Quantum ESPRESSO input format:
```
&SYSTEM
  ibrav = 0, nat = 3, ntyp = 3
/
ATOMIC_SPECIES
K 39.10 K.upf
Sc 44.96 Sc.upf
Re 186.21 Re.upf
CELL_PARAMETERS angstrom
5.210 0.000 0.000
-2.605 4.512 0.000
0.000 0.000 2.681
ATOMIC_POSITIONS angstrom
K 0.000 0.000 0.000
Sc 0.000 3.008 2.666
Re 2.605 1.504 1.331
```

The crystal system is trigonal.


--- z ---
DFT (PBE) results for KScRe after structural relaxation. Values from VASP.

The structure in Quantum ESPRESSO input format:
```
&SYSTEM
  ibrav = 0, nat = 3, ntyp = 3
/
ATOMIC_SPECIES
K 39.10 K.upf
Sc 44.96 Sc.upf
Re 186.21 Re.upf
CELL_PARAMETERS angstrom
0.000 2.461 8.524
1.656 0.000 8.524
1.656 2.461 0.000
ATOMIC_POSITIONS angstrom
K 0.000 0.000 0.000
Sc 1.656 2.461 12.146
Re 1.656 2.461 5.658
```

The crystal system is orthorhombic.


The calculated energies rank the structures as follows, beginning with the most stable: z, y, w, x.


--- w ---
DFT (PBE) results for KScRe after structural relaxation. Values from VASP.

The structure in Quantum ESPRESSO input format:
```
&SYSTEM
  ibrav = 0, nat = 3, ntyp = 3
/
ATOMIC_SPECIES
K 39.10 K.upf
Sc 44.96 Sc.upf
Re 186.21 Re.upf
CELL_PARAMETERS angstrom
-1.558 1.558 8.082
1.558 -1.558 8.082
1.558 1.558 -8.082
ATOMIC_POSITIONS angstrom
K 0.000 0.000 0.000
Sc 0.000 0.000 4.352
Re 0.000 0.000 10.801
```

The crystal system is tetragonal.


--- x ---
DFT (PBE) results for KScRe after structural relaxation. Values from VASP.

The structure in Quantum ESPRESSO input format:
```
&SYSTEM
  ibrav = 0, nat = 3, ntyp = 3
/
ATOMIC_SPECIES
K 39.10 K.upf
Sc 44.96 Sc.upf
Re 186.21 Re.upf
CELL_PARAMETERS angstrom
3.164 0.000 0.000
-1.582 2.740 0.000
0.000 0.000 8.434
ATOMIC_POSITIONS angstrom
K 0.000 0.000 0.000
Sc 0.000 1.827 4.747
Re 1.582 0.913 2.819
```

The crystal system is trigonal.


The calculated energies rank the structures as follows, beginning with the most stable: w, x.


--- w ---
DFT (PBE) results for K3ScRe after structural relaxation. Values from VASP.
- - -

See below for a master class on making a stand from corks.